**Activity**
Copy the listing further down from the first line to the one with "0.2097 0.0266" character by character, please.
**Contents**
<<<
VASP calculation (PBE-GGA) on a geometry-optimized Mg6BSbO8 structure.

## Properties
E above lowest polymorph = 19 meV per atom
Volume = 10.79 Å³ per atom
Space group = No. 123
Crystal system = tetragonal
Formation energy from the elements = -210.7 kJ per mole of atoms
Size of the total moment = 0.004 μB/f.u.

Cell: 8.9517 4.3922 4.3922 Å, 90.00 90.00 90.00°
Sites, in units of the cell vectors:
Mg1 0.0000 0.5000 0.5000
Mg2 0.5000 0.5000 0.5000
Mg3 0.2260 0.0000 0.5000
Mg4 0.7740 0.0000 0.5000
Mg5 0.2260 0.5000 0.0000
Mg6 0.7740 0.5000 0.0000
B1 0.0000 0.0000 0.0000
Sb1 0.5000 0.0000 0.0000
O1 0.2434 0.0000 0.0000
O2 0.7566 0.0000 0.0000
O3 0.2509 0.5000 0.5000
O4 0.7491 0.5000 0.5000
O5 0.0000 0.0000 0.5000
O6 0.5000 0.0000 0.5000
O7 0.0000 0.5000 0.0000
O8 0.5000 0.5000 0.0000

=====

# 1
# PBE Na21Mg10Nb2P15S3O72, optimized geometry
# space group: No. 1
# VASP energy: -798.5 eV/f.u.
# ΔE_f: -2.72 eV per atom
data_Na21Mg10Nb2P15S3O72
_chemical_formula_sum 'Na21 Mg10 Nb2 P15 S3 O72'
_cell_length_a 8.9914
_cell_length_b 9.0018
_cell_length_c 22.1547
_cell_angle_alpha 89.86
_cell_angle_beta 89.91
_cell_angle_gamma 120.06
_symmetry_space_group_name_H-M 'P 1'
_symmetry_Int_Tables_number 1
_symmetry_space_group_name_Hall 'P 1'
loop_
_atom_site_label
_atom_site_type_symbol
_atom_site_fract_x
_atom_site_fract_y
_atom_site_fract_z
_atom_site_occupancy
S1 S 0.9591 0.6257 0.0821 1
O1 O 0.5193 0.8361 0.7590 1
P1 P 0.0384 0.3710 0.9188 1
O2 O 0.1816 0.2219 0.6954 1
O3 O 0.6934 0.5497 0.5274 1
P2 P 0.3319 0.9586 0.9191 1
O4 O 0.1337 0.4908 0.8619 1
O5 O 0.4985 0.1356 0.9198 1
O6 O 0.1864 0.0142 0.5891 1
O7 O 0.0393 0.2241 0.1936 1
O8 O 0.6435 0.1264 0.1347 1
O9 O 0.1361 0.6488 0.0776 1
O10 O 0.8082 0.8293 0.9102 1
O11 O 0.1726 0.9782 0.9113 1
O12 O 0.5460 0.8481 0.4751 1
P3 P 0.7087 0.7064 0.2503 1
O13 O 0.3508 0.4963 0.0784 1
O14 O 0.1498 0.4547 0.9740 1
O15 O 0.3562 0.4915 0.3615 1
O16 O 0.7831 0.9685 0.6938 1
Na1 Na 0.3316 0.0370 0.4171 1
O17 O 0.7811 0.8113 0.1919 1
Na2 Na 0.0405 0.3321 0.0877 1
Na3 Na 0.3313 0.2947 0.9176 1
O18 O 0.9777 0.7862 0.8093 1
S2 S 0.6670 0.0411 0.0824 1
Mg1 Mg 0.0034 0.0040 0.6513 1
O19 O 0.9757 0.7992 0.0873 1
O20 O 0.5090 0.8668 0.0778 1
O21 O 0.8618 0.5031 0.4200 1
P4 P 0.7098 0.0011 0.7505 1
O22 O 0.1468 0.4936 0.5789 1
P5 P 0.0390 0.6690 0.4187 1
O23 O 0.8609 0.3593 0.9207 1
P6 P 0.2960 0.2924 0.7511 1
Mg2 Mg 0.6666 0.3356 0.1886 1
Na4 Na 0.9641 0.2958 0.4166 1
O24 O 0.8519 0.3078 0.5270 1
O25 O 0.1388 0.6443 0.3634 1
Na5 Na 0.3651 0.0098 0.7426 1
Mg3 Mg 0.3286 0.6669 0.5159 1
O26 O 0.5487 0.6991 0.9750 1
Na6 Na 0.3007 0.9762 0.0869 1
Mg4 Mg 0.0000 0.9984 0.8484 1
O27 O 0.1886 0.9654 0.1918 1
O28 O 0.1676 0.6869 0.7590 1
O29 O 0.2143 0.1866 0.8083 1
O30 O 0.4520 0.3049 0.0252 1
O31 O 0.1486 0.6982 0.4747 1
Na7 Na 0.3332 0.6688 0.1685 1
Mg5 Mg 0.3338 0.6614 0.0154 1
P7 P 0.9623 0.3330 0.5835 1
O32 O 0.8228 0.8003 0.5891 1
O33 O 0.6405 0.5167 0.6360 1
Mg6 Mg 0.9980 0.9996 0.3478 1
O34 O 0.4531 0.1507 0.5273 1
O35 O 0.9786 0.1907 0.3074 1
Nb1 Nb 0.3365 0.6663 0.8129 1
O36 O 0.5045 0.8580 0.3637 1
Mg7 Mg 0.6601 0.3315 0.9814 1
O37 O 0.2097 0.0266 0.3055 1
O38 O 0.3058 0.4571 0.4740 1
O39 O 0.9787 0.1685 0.5887 1
Na8 Na 0.3638 0.3550 0.2481 1
P8 P 0.6301 0.6702 0.9192 1
Na9 Na 0.3353 0.6668 0.6594 1
P9 P 0.9951 0.2931 0.2507 1
O40 O 0.0366 0.8180 0.6955 1
O41 O 0.4800 0.1214 0.6408 1
Na10 Na 0.6672 0.9772 0.5823 1
O42 O 0.3120 0.4783 0.7599 1
Na11 Na 0.6762 0.3330 0.3291 1
P10 P 0.3706 0.0380 0.5838 1
Na12 Na 0.9884 0.3547 0.7425 1
O43 O 0.6790 0.1555 0.7458 1
O44 O 0.8753 0.5151 0.1344 1
Na13 Na 0.2941 0.3263 0.5809 1
Na14 Na 0.6658 0.3422 0.8289 1
O45 O 0.0208 0.8286 0.4096 1
O46 O 0.1869 0.1697 0.0880 1
O47 O 0.3048 0.8467 0.9745 1
O48 O 0.6708 0.5197 0.2453 1
O49 O 0.4842 0.3597 0.1382 1
O50 O 0.0199 0.1927 0.9107 1
O51 O 0.6382 0.1346 0.4193 1
O52 O 0.8065 0.9777 0.4103 1
Na15 Na 0.7047 0.0358 0.9144 1
Na16 Na 0.7039 0.6683 0.4133 1
O53 O 0.8466 0.5191 0.7456 1
P11 P 0.9942 0.7047 0.7515 1
>>>
**Reply**
VASP calculation (PBE-GGA) on a geometry-optimized Mg6BSbO8 structure.

## Properties
E above lowest polymorph = 19 meV per atom
Volume = 10.79 Å³ per atom
Space group = No. 123
Crystal system = tetragonal
Formation energy from the elements = -210.7 kJ per mole of atoms
Size of the total moment = 0.004 μB/f.u.

Cell: 8.9517 4.3922 4.3922 Å, 90.00 90.00 90.00°
Sites, in units of the cell vectors:
Mg1 0.0000 0.5000 0.5000
Mg2 0.5000 0.5000 0.5000
Mg3 0.2260 0.0000 0.5000
Mg4 0.7740 0.0000 0.5000
Mg5 0.2260 0.5000 0.0000
Mg6 0.7740 0.5000 0.0000
B1 0.0000 0.0000 0.0000
Sb1 0.5000 0.0000 0.0000
O1 0.2434 0.0000 0.0000
O2 0.7566 0.0000 0.0000
O3 0.2509 0.5000 0.5000
O4 0.7491 0.5000 0.5000
O5 0.0000 0.0000 0.5000
O6 0.5000 0.0000 0.5000
O7 0.0000 0.5000 0.0000
O8 0.5000 0.5000 0.0000

=====

# 1
# PBE Na21Mg10Nb2P15S3O72, optimized geometry
# space group: No. 1
# VASP energy: -798.5 eV/f.u.
# ΔE_f: -2.72 eV per atom
data_Na21Mg10Nb2P15S3O72
_chemical_formula_sum 'Na21 Mg10 Nb2 P15 S3 O72'
_cell_length_a 8.9914
_cell_length_b 9.0018
_cell_length_c 22.1547
_cell_angle_alpha 89.86
_cell_angle_beta 89.91
_cell_angle_gamma 120.06
_symmetry_space_group_name_H-M 'P 1'
_symmetry_Int_Tables_number 1
_symmetry_space_group_name_Hall 'P 1'
loop_
_atom_site_label
_atom_site_type_symbol
_atom_site_fract_x
_atom_site_fract_y
_atom_site_fract_z
_atom_site_occupancy
S1 S 0.9591 0.6257 0.0821 1
O1 O 0.5193 0.8361 0.7590 1
P1 P 0.0384 0.3710 0.9188 1
O2 O 0.1816 0.2219 0.6954 1
O3 O 0.6934 0.5497 0.5274 1
P2 P 0.3319 0.9586 0.9191 1
O4 O 0.1337 0.4908 0.8619 1
O5 O 0.4985 0.1356 0.9198 1
O6 O 0.1864 0.0142 0.5891 1
O7 O 0.0393 0.2241 0.1936 1
O8 O 0.6435 0.1264 0.1347 1
O9 O 0.1361 0.6488 0.0776 1
O10 O 0.8082 0.8293 0.9102 1
O11 O 0.1726 0.9782 0.9113 1
O12 O 0.5460 0.8481 0.4751 1
P3 P 0.7087 0.7064 0.2503 1
O13 O 0.3508 0.4963 0.0784 1
O14 O 0.1498 0.4547 0.9740 1
O15 O 0.3562 0.4915 0.3615 1
O16 O 0.7831 0.9685 0.6938 1
Na1 Na 0.3316 0.0370 0.4171 1
O17 O 0.7811 0.8113 0.1919 1
Na2 Na 0.0405 0.3321 0.0877 1
Na3 Na 0.3313 0.2947 0.9176 1
O18 O 0.9777 0.7862 0.8093 1
S2 S 0.6670 0.0411 0.0824 1
Mg1 Mg 0.0034 0.0040 0.6513 1
O19 O 0.9757 0.7992 0.0873 1
O20 O 0.5090 0.8668 0.0778 1
O21 O 0.8618 0.5031 0.4200 1
P4 P 0.7098 0.0011 0.7505 1
O22 O 0.1468 0.4936 0.5789 1
P5 P 0.0390 0.6690 0.4187 1
O23 O 0.8609 0.3593 0.9207 1
P6 P 0.2960 0.2924 0.7511 1
Mg2 Mg 0.6666 0.3356 0.1886 1
Na4 Na 0.9641 0.2958 0.4166 1
O24 O 0.8519 0.3078 0.5270 1
O25 O 0.1388 0.6443 0.3634 1
Na5 Na 0.3651 0.0098 0.7426 1
Mg3 Mg 0.3286 0.6669 0.5159 1
O26 O 0.5487 0.6991 0.9750 1
Na6 Na 0.3007 0.9762 0.0869 1
Mg4 Mg 0.0000 0.9984 0.8484 1
O27 O 0.1886 0.9654 0.1918 1
O28 O 0.1676 0.6869 0.7590 1
O29 O 0.2143 0.1866 0.8083 1
O30 O 0.4520 0.3049 0.0252 1
O31 O 0.1486 0.6982 0.4747 1
Na7 Na 0.3332 0.6688 0.1685 1
Mg5 Mg 0.3338 0.6614 0.0154 1
P7 P 0.9623 0.3330 0.5835 1
O32 O 0.8228 0.8003 0.5891 1
O33 O 0.6405 0.5167 0.6360 1
Mg6 Mg 0.9980 0.9996 0.3478 1
O34 O 0.4531 0.1507 0.5273 1
O35 O 0.9786 0.1907 0.3074 1
Nb1 Nb 0.3365 0.6663 0.8129 1
O36 O 0.5045 0.8580 0.3637 1
Mg7 Mg 0.6601 0.3315 0.9814 1
O37 O 0.2097 0.0266 0.3055 1